by Sue Horner | Jan 15, 2020 | The Red Jacket Diaries blog
This seems unreal even to me, but I’m celebrating 29 years in business this month. Wow! Starting my business was a leap of faith. Or, as I put it in a post in 2017, it wasn’t really as fast as a leap. It was more like stretching and warming up and slowly building up...
by Sue Horner | May 30, 2019 | The Red Jacket Diaries blog
“Solopreneurs” may think we have to clone ourselves to take on more business. We can’t, but that’s the wrong approach anyway. Instead, we should partner with others to create a diverse team with varied skills and experience, which allows us to take on more business...
by Sue Horner | Apr 10, 2019 | The Red Jacket Diaries blog
Hands up if you volunteer! Hey, good for you – and good for the organization you’re helping. Much of the work in associations, schools and other groups only gets done if volunteers tackle it. In fact, if you find yourself grumbling, “Why doesn’t this group [do...
by Sue Horner | Jan 17, 2019 | The Red Jacket Diaries blog
I’m celebrating 28 years in business this month – wow! Check out “A leap of faith to a dream job (with a great boss)” for a look at the best things about running my own business, and tips and resources if by chance you’re thinking about taking your own leap....
-- The piece is interrupted by molecular data --
=====
No. 1
Below is a 2-piece molecular cluster, C16H17N overall at a distorted geometry, with properties calculated with ωB97M-V/def2-TZVPD.

The geometry in XYZ format:
```
34
Properties=species:S:1:pos:R:3:forces:R:3
C -0.512 -4.004 -0.086 -0.328 1.715 -0.611
C 0.140 -3.064 2.162 1.538 2.017 3.298
C 0.038 -2.928 0.811 1.078 -0.597 -1.705
C 1.452 -1.240 1.636 -1.534 -1.052 0.226
C 0.827 -1.761 0.471 1.095 0.129 0.096
C 2.380 -0.225 1.773 -0.146 -2.107 -0.477
C 1.230 -1.163 -0.702 0.474 1.168 0.094
C 2.972 0.110 0.543 -0.837 1.814 -0.680
C 2.279 -0.192 -0.628 -0.050 -0.718 -0.017
N 0.954 -2.049 2.659 -1.251 0.069 -0.161
H -0.216 -3.747 2.920 -0.400 -0.245 -0.496
H 0.848 -1.564 3.544 0.105 -0.983 0.531
H -0.564 -3.605 -1.100 -0.083 0.079 -0.064
H -1.558 -4.118 0.229 0.390 -0.960 -0.094
H 2.688 0.027 2.776 0.439 0.366 -0.123
H 0.726 -1.317 -1.630 -0.120 -0.199 -0.546
H 3.790 0.835 0.487 -0.283 -0.345 0.090
H 2.518 0.325 -1.542 0.361 -0.070 -0.120
H 0.146 -4.879 -0.199 -0.545 0.044 0.737
C -3.182 1.651 -1.839 -2.843 -0.806 0.388
C -1.632 1.788 0.116 -0.302 -0.862 -0.341
C -1.846 1.877 -1.256 0.790 0.560 0.607
C -0.527 2.388 0.713 -0.737 -0.083 0.871
C 0.321 3.161 -0.030 1.798 -0.374 -1.972
C -0.810 2.417 -2.028 -1.516 0.318 -0.446
C 0.259 3.050 -1.440 -0.087 0.785 0.421
H -2.373 1.184 0.648 0.286 0.557 0.377
H -0.425 2.329 1.789 0.027 0.070 0.089
H -3.477 2.412 -2.545 0.461 0.159 -0.703
H -4.077 1.746 -1.149 1.430 -0.014 0.117
H 1.193 3.721 0.320 -0.567 -0.197 0.534
H -1.076 2.555 -3.078 0.675 -0.160 0.030
H 0.937 3.614 -2.083 -0.008 -0.226 0.336
H -3.425 0.666 -2.264 0.686 0.150 -0.284
```
Forces are in eV/Å.

DFT total energy = -674.32240 a.u.
HOMO-LUMO gap (spin up / spin down) = 7.8 / 4.2 eV
E_HOMO (spin up / spin down) = -0.4203 / -0.4202 hartree
multiplicity = 2
net charge = +1

Partial atomic charges computed with the Löwdin method, in multiples of e:
1 C 0.01
2 C 0.04
3 C -0.13
4 C -0.20
5 C -0.11
6 C 0.06
7 C 0.07
8 C -0.02
9 C -0.02
10 N 0.15
11 H 0.15
12 H 0.18
13 H 0.08
14 H 0.11
15 H 0.13
16 H 0.12
17 H 0.13
18 H 0.12
19 H 0.11
20 C -0.07
21 C -0.06
22 C -0.30
23 C -0.11
24 C -0.10
25 C -0.06
26 C -0.09
27 H 0.11
28 H 0.10
29 H 0.08
30 H 0.10
31 H 0.11
32 H 0.12
33 H 0.11
34 H 0.08

***

No. 2
Below is one molecule with the formula C16H17N3O3S at a distorted geometry, with properties calculated with ωB97M-V/def2-TZVPD.

The geometry in XYZ format:
```
40
Properties=species:S:1:pos:R:3:forces:R:3
C 0.405 3.373 -0.308 0.130 -0.316 0.142
C 0.598 2.618 1.001 -0.220 0.606 -0.065
O 1.019 1.277 0.800 0.342 -0.409 -0.218
C 2.307 1.021 0.415 0.057 -0.272 -0.046
C 3.329 1.958 0.354 -0.206 0.155 0.130
C 4.597 1.585 -0.063 0.013 -0.062 -0.033
C 4.864 0.279 -0.426 0.083 -0.007 -0.003
C 3.859 -0.669 -0.349 -0.082 0.095 0.073
C 2.591 -0.313 0.076 0.093 0.218 -0.034
N 1.564 -1.282 0.138 -0.045 0.458 0.278
C 1.234 -2.096 -0.900 -0.359 -0.334 -0.311
O 1.712 -2.065 -2.007 0.126 -0.056 -0.203
C 0.146 -3.042 -0.407 0.015 -0.040 -0.043
=====
-- So much for the molecular data --
by Sue Horner | Oct 4, 2018 | The Red Jacket Diaries blog
Keeping up with the pace of change is a juggling act for internal communicators. “Restructures, leadership changes, redundancies, new technology, mergers and acquisitions, office moves – you’re expected to do it all,” as consultant Rachel Miller of All Things IC...
by Sue Horner | Sep 27, 2018 | The Red Jacket Diaries blog
When I first went out on my own, I cold-called my way through a battered copy of The Canadian Writer’s Market. Although the effort eventually resulted in some freelance writing work, the experience was painful, as I recently recounted. The tactic is unlikely to...
by Sue Horner | Sep 6, 2018 | The Red Jacket Diaries blog
People are interested in launching their own businesses, but a little nervous about it, too. That’s the not-so-surprising conclusion I took away from this week’s panel discussion about starting an independent business. We had a great turnout, lots of information from...
by Sue Horner | Aug 29, 2018 | The Red Jacket Diaries blog
Nearly 28 years still seems an improbable amount of time that I’ve been out on my own. Astonishing, even. But LinkedIn has done the math, and assures me Get It Write has been operating 27 years and eight months. Oh sure, luck played a role – and tremendous support...
by Sue Horner | Aug 2, 2018 | The Red Jacket Diaries blog
My computer is now back from the shop/hospital/morgue, and you’d be right to say I should have seen this coming. My (formerly) trusty MacBook Pro was ancient, in tech terms – 2010, to be exact. The year sticks in my mind because it was part of my “back to school”...
by Sue Horner | May 9, 2018 | The Red Jacket Diaries blog
The funny thing about success is that people usually know what we should do, but fear often holds us back. Here’s what I learned from a discussion with the members of Communicators Connection, who shared secrets to success at a networking event earlier this month:...